### Listing
┌──
For MgFe4Cu2O8, the GGA+U geometry in the Materials Project gives the calculated XRD peak list in this record (CuKα).

The 8 most intense peaks (15 to 90 degrees two-theta), sorted by position:
d/Å, Position (°2θ), Rel. int.
4.813, 18.43, 45.7
2.618, 34.26, 63.7
2.610, 34.36, 56.4
2.540, 35.33, 100.0
2.180, 41.41, 60.3
2.145, 42.12, 66.0
1.948, 46.63, 96.5
1.718, 53.33, 50.0

Atomic structure:
```
data_MgFe4Cu2O8
_space_group_name_H-M_alt 'P 1'
_space_group_IT_number 1
_space_group_name_Hall 'P 1'
_cell_length_a 6.135
_cell_length_b 6.135
_cell_length_c 6.593
_cell_angle_alpha 122.36
_cell_angle_beta 122.36
_cell_angle_gamma 56.56
loop_
_atom_site_label
_atom_site_fract_x
_atom_site_fract_y
_atom_site_fract_z
Mg1 0.000 0.000 0.000
Fe1 0.232 0.232 0.506
Fe2 0.500 0.500 0.000
Fe3 0.500 0.500 0.500
Fe4 0.768 0.768 0.494
Cu1 0.000 0.500 0.000
Cu2 0.500 0.000 0.000
O1 0.181 0.667 0.683
O2 0.243 0.243 0.200
O3 0.267 0.267 0.832
O4 0.333 0.819 0.317
O5 0.667 0.181 0.683
O6 0.733 0.733 0.168
O7 0.757 0.757 0.800
O8 0.819 0.333 0.317
```

For U2NiP2O22, the GGA+U geometry in the Materials Project gives the calculated XRD peak list in this record (CuKα).

The 8 most intense peaks (15 to 90 degrees two-theta), sorted by position:
d/Å, Position (°2θ), Rel. int.
4.695, 18.90, 23.2
4.663, 19.03, 100.0
4.449, 19.95, 34.9
3.495, 25.49, 41.5
3.438, 25.91, 25.0
3.309, 26.95, 43.7
3.276, 27.23, 40.1
2.504, 35.86, 24.2

Atomic structure:
```
data_U2NiP2O22
_space_group_name_H-M_alt 'P 1'
_space_group_IT_number 1
_space_group_name_Hall 'P 1'
_cell_length_a 6.992
_cell_length_b 18.781
_cell_length_c 9.682
_cell_angle_alpha 90.00
_cell_angle_beta 133.73
_cell_angle_gamma 90.00
loop_
_atom_site_label
_atom_site_fract_x
_atom_site_fract_y
_atom_site_fract_z
U1 0.084 0.197 0.056
U2 0.084 0.303 0.556
U3 0.916 0.697 0.444
U4 0.916 0.803 0.944
Ni1 0.500 0.000 0.000
Ni2 0.500 0.500 0.500
P1 0.417 0.749 0.945
P2 0.417 0.751 0.445
P3 0.583 0.249 0.555
P4 0.583 0.251 0.055
O1 0.076 0.206 0.554
O2 0.076 0.294 0.054
O3 0.116 0.101 0.077
O4 0.116 0.399 0.577
O5 0.215 0.549 0.293
O6 0.215 0.951 0.793
O7 0.229 0.701 0.433
O8 0.229 0.799 0.933
O9 0.233 0.061 0.834
O10 0.233 0.439 0.334
O11 0.253 0.702 0.763
O12 0.253 0.798 0.263
O13 0.327 0.543 0.101
O14 0.327 0.957 0.601
O15 0.387 0.204 0.039
O16 0.387 0.296 0.539
O17 0.403 0.536 0.668
O18 0.403 0.964 0.168
O19 0.428 0.199 0.381
O20 0.428 0.301 0.881
O21 0.463 0.013 0.657
O22 0.463 0.487 0.157
O23 0.537 0.513 0.843
O24 0.537 0.987 0.343
O25 0.572 0.699 0.119
O26 0.572 0.801 0.619
O27 0.597 0.036 0.832
O28 0.597 0.464 0.332
O29 0.613 0.704 0.461
O30 0.613 0.796 0.961
O31 0.673 0.043 0.399
O32 0.673 0.457 0.899
O33 0.747 0.202 0.737
O34 0.747 0.298 0.237
O35 0.767 0.561 0.666
O36 0.767 0.939 0.166
O37 0.771 0.201 0.067
O38 0.771 0.299 0.567
O39 0.785 0.049 0.207
O40 0.785 0.451 0.707
O41 0.884 0.601 0.423
O42 0.884 0.899 0.923
O43 0.924 0.706 0.946
O44 0.924 0.794 0.446
```

For Mn2ZnO4, the GGA+U geometry in the Materials Project gives the calculated XRD peak list in this record (CuKα).

The 8 most intense peaks (15 to 90 degrees two-theta), sorted by position:
d/Å, Position (°2θ), Rel. int.
3.089, 28.91, 42.4
3.076, 29.03, 31.3
2.709, 33.07, 29.7
2.699, 33.19, 95.7
2.547, 35.24, 100.0
2.540, 35.34, 74.1
2.535, 35.41, 26.0
1.544, 59.89, 50.1

Atomic structure:
```
data_Mn2ZnO4
_space_group_name_H-M_alt 'P 1'
_space_group_IT_number 1
_space_group_name_Hall 'P 1'
_cell_length_a 5.913
_cell_length_b 6.197
_cell_length_c 14.908
_cell_angle_alpha 86.08
_cell_angle_beta 89.80
_cell_angle_gamma 61.57
loop_
_atom_site_label
_atom_site_fract_x
_atom_site_fract_y
_atom_site_fract_z
Mn1 0.000 0.000 0.000
Mn2 0.000 0.499 0.999
Mn3 0.161 0.177 0.666
Mn4 0.337 0.327 0.335
Mn5 0.340 0.821 0.332
Mn6 0.497 0.008 0.878
Mn7 0.500 0.499 0.999
Mn8 0.501 0.997 0.500
Mn9 0.661 0.177 0.667
Mn10 0.663 0.672 0.665
Mn11 0.837 0.329 0.212
Mn12 0.839 0.821 0.332
Zn1 0.161 0.672 0.785
Zn2 0.165 0.669 0.543
Zn3 0.171 0.658 0.167
└──

### Request
It remains to repeat all of the lines further above verbatim.

### Here it is
For MgFe4Cu2O8, the GGA+U geometry in the Materials Project gives the calculated XRD peak list in this record (CuKα).

The 8 most intense peaks (15 to 90 degrees two-theta), sorted by position:
d/Å, Position (°2θ), Rel. int.
4.813, 18.43, 45.7
2.618, 34.26, 63.7
2.610, 34.36, 56.4
2.540, 35.33, 100.0
2.180, 41.41, 60.3
2.145, 42.12, 66.0
1.948, 46.63, 96.5
1.718, 53.33, 50.0

Atomic structure:
```
data_MgFe4Cu2O8
_space_group_name_H-M_alt 'P 1'
_space_group_IT_number 1
_space_group_name_Hall 'P 1'
_cell_length_a 6.135
_cell_length_b 6.135
_cell_length_c 6.593
_cell_angle_alpha 122.36
_cell_angle_beta 122.36
_cell_angle_gamma 56.56
loop_
_atom_site_label
_atom_site_fract_x
_atom_site_fract_y
_atom_site_fract_z
Mg1 0.000 0.000 0.000
Fe1 0.232 0.232 0.506
Fe2 0.500 0.500 0.000
Fe3 0.500 0.500 0.500
Fe4 0.768 0.768 0.494
Cu1 0.000 0.500 0.000
Cu2 0.500 0.000 0.000
O1 0.181 0.667 0.683
O2 0.243 0.243 0.200
O3 0.267 0.267 0.832
O4 0.333 0.819 0.317
O5 0.667 0.181 0.683
O6 0.733 0.733 0.168
O7 0.757 0.757 0.800
O8 0.819 0.333 0.317
```

For U2NiP2O22, the GGA+U geometry in the Materials Project gives the calculated XRD peak list in this record (CuKα).

The 8 most intense peaks (15 to 90 degrees two-theta), sorted by position:
d/Å, Position (°2θ), Rel. int.
4.695, 18.90, 23.2
4.663, 19.03, 100.0
4.449, 19.95, 34.9
3.495, 25.49, 41.5
3.438, 25.91, 25.0
3.309, 26.95, 43.7
3.276, 27.23, 40.1
2.504, 35.86, 24.2

Atomic structure:
```
data_U2NiP2O22
_space_group_name_H-M_alt 'P 1'
_space_group_IT_number 1
_space_group_name_Hall 'P 1'
_cell_length_a 6.992
_cell_length_b 18.781
_cell_length_c 9.682
_cell_angle_alpha 90.00
_cell_angle_beta 133.73
_cell_angle_gamma 90.00
loop_
_atom_site_label
_atom_site_fract_x
_atom_site_fract_y
_atom_site_fract_z
U1 0.084 0.197 0.056
U2 0.084 0.303 0.556
U3 0.916 0.697 0.444
U4 0.916 0.803 0.944
Ni1 0.500 0.000 0.000
Ni2 0.500 0.500 0.500
P1 0.417 0.749 0.945
P2 0.417 0.751 0.445
P3 0.583 0.249 0.555
P4 0.583 0.251 0.055
O1 0.076 0.206 0.554
O2 0.076 0.294 0.054
O3 0.116 0.101 0.077
O4 0.116 0.399 0.577
O5 0.215 0.549 0.293
O6 0.215 0.951 0.793
O7 0.229 0.701 0.433
O8 0.229 0.799 0.933
O9 0.233 0.061 0.834
O10 0.233 0.439 0.334
O11 0.253 0.702 0.763
O12 0.253 0.798 0.263
O13 0.327 0.543 0.101
O14 0.327 0.957 0.601
O15 0.387 0.204 0.039
O16 0.387 0.296 0.539
O17 0.403 0.536 0.668
O18 0.403 0.964 0.168
O19 0.428 0.199 0.381
O20 0.428 0.301 0.881
O21 0.463 0.013 0.657
O22 0.463 0.487 0.157
O23 0.537 0.513 0.843
O24 0.537 0.987 0.343
O25 0.572 0.699 0.119
O26 0.572 0.801 0.619
O27 0.597 0.036 0.832
O28 0.597 0.464 0.332
O29 0.613 0.704 0.461
O30 0.613 0.796 0.961
O31 0.673 0.043 0.399
O32 0.673 0.457 0.899
O33 0.747 0.202 0.737
O34 0.747 0.298 0.237
O35 0.767 0.561 0.666
O36 0.767 0.939 0.166
O37 0.771 0.201 0.067
O38 0.771 0.299 0.567
O39 0.785 0.049 0.207
O40 0.785 0.451 0.707
O41 0.884 0.601 0.423
O42 0.884 0.899 0.923
O43 0.924 0.706 0.946
O44 0.924 0.794 0.446
```

For Mn2ZnO4, the GGA+U geometry in the Materials Project gives the calculated XRD peak list in this record (CuKα).

The 8 most intense peaks (15 to 90 degrees two-theta), sorted by position:
d/Å, Position (°2θ), Rel. int.
3.089, 28.91, 42.4
3.076, 29.03, 31.3
2.709, 33.07, 29.7
2.699, 33.19, 95.7
2.547, 35.24, 100.0
2.540, 35.34, 74.1
2.535, 35.41, 26.0
1.544, 59.89, 50.1

Atomic structure:
```
data_Mn2ZnO4
_space_group_name_H-M_alt 'P 1'
_space_group_IT_number 1
_space_group_name_Hall 'P 1'
_cell_length_a 5.913
_cell_length_b 6.197
_cell_length_c 14.908
_cell_angle_alpha 86.08
_cell_angle_beta 89.80
_cell_angle_gamma 61.57
loop_
_atom_site_label
_atom_site_fract_x
_atom_site_fract_y
_atom_site_fract_z
Mn1 0.000 0.000 0.000
Mn2 0.000 0.499 0.999
Mn3 0.161 0.177 0.666
Mn4 0.337 0.327 0.335
Mn5 0.340 0.821 0.332
Mn6 0.497 0.008 0.878
Mn7 0.500 0.499 0.999
Mn8 0.501 0.997 0.500
Mn9 0.661 0.177 0.667
Mn10 0.663 0.672 0.665
Mn11 0.837 0.329 0.212
Mn12 0.839 0.821 0.332
Zn1 0.161 0.672 0.785
Zn2 0.165 0.669 0.543
Zn3 0.171 0.658 0.167